# Twitch Stream Info and Commands
Everything you need to know to have a great time watching our twitch streams. We stream every Wednesday in the afternoon. https://www.twitch.tv/JackPikatea (opens new window)
## Crystal structures, kept here for reference
/*
# MgSiBiSe2

A geometry-optimized MgSiBiSe2 structure (GGA-PBE, Alexandria via LeMat-Bulk).

Geometry as POSCAR:
```
MgSiBiSe2
1.0
-4.504 1.845 -0.534
-0.735 -3.181 -4.787
-1.817 -3.653 2.707
Si Se Bi Mg
1 2 1 1
direct
0.500 0.500 0.500 Si
0.000 0.000 0.500 Se
0.500 0.000 0.000 Se
0.000 0.500 0.000 Bi
0.000 0.000 0.000 Mg
```

Results
V: 138.9 Å³/cell
E: -3.04 eV/atom
DOS at the Fermi energy: 6.091 states/eV/f.u.

=====

Record 1
Entry from Alexandria: crystalline TaRh2Pb at its relaxed geometry (PBE).

a b c (Å): 6.523 6.523 6.523
angles (deg): 90.00 90.00 90.00
Space group F-43m (No. 216)
Inequivalent atoms, fractional coordinates:
Ta1 0.000 0.000 0.000
Rh1 0.000 0.000 0.500
Rh2 0.250 0.250 0.250
Pb1 0.250 0.250 0.750

Results
* calculated total energy: -118.14 eV per cell
* energy of formation from the pure elements: 0.182 eV per atom

---

Record 2
Entry from Alexandria: crystalline TaRhPb4 at its relaxed geometry (PBE).

a b c (Å): 8.683 8.683 8.683
angles (deg): 90.00 90.00 90.00
Space group F-43m (No. 216)
Inequivalent atoms, fractional coordinates:
Ta1 0.000 0.000 0.000
Rh1 0.250 0.250 0.250
Pb1 0.125 0.125 0.625

Results
* calculated total energy: -107.78 eV per cell
* energy of formation from the pure elements: 1.182 eV per atom

---

Record 3
Entry from Alexandria: crystalline TaRhPb2 at its relaxed geometry (PBE).

a b c (Å): 3.229 5.456 9.548
angles (deg): 90.00 90.00 90.00
Space group Immm (No. 71)
Inequivalent atoms, fractional coordinates:
Ta1 0.000 0.000 0.000
Rh1 0.000 0.000 0.500
Pb1 0.000 0.500 0.232

Results
* calculated total energy: -49.43 eV per cell
* energy of formation from the pure elements: 0.477 eV per atom
* energy above the most stable polymorph in this dataset: 479 meV per atom

---

Record 4
Entry from Alexandria: crystalline Ta2RhPb at its relaxed geometry (PBE).

a b c (Å): 3.192 3.192 7.781
angles (deg): 90.00 90.00 90.00
Space group P4mm (No. 99)
Inequivalent atoms, fractional coordinates:
Ta1 0.000 0.000 0.000
Ta2 0.500 0.500 0.237
Rh1 0.000 0.000 0.411
Pb1 0.500 0.500 0.699

Results
* calculated total energy: -34.60 eV per cell
* energy of formation from the pure elements: 0.042 eV per atom

---

Record 5
Entry from Alexandria: crystalline TaTiRhPb2 at its relaxed geometry (PBE).

a b c (Å): 5.262 5.262 4.414
angles (deg): 90.00 90.00 90.00
Space group P4/mmm (No. 123)
Inequivalent atoms, fractional coordinates:
Ta1 0.000 0.000 0.000
Ti1 0.500 0.500 0.500
Rh1 0.500 0.500 0.000
Pb1 0.000 0.500 0.500

Results
* calculated total energy: -28.80 eV per cell
* energy of formation from the pure elements: 1.143 eV per atom

---

Record 6
Entry from Alexandria: crystalline Y2TaRhPb at its relaxed geometry (PBE).

a b c (Å): 5.634 5.634 5.142
angles (deg): 90.00 90.00 90.00
Space group P4/mmm (No. 123)
Inequivalent atoms, fractional coordinates:
Y1 0.000 0.500 0.000
Ta1 0.000 0.000 0.500
Rh1 0.500 0.500 0.500
Pb1 0.000 0.000 0.000

Results
* calculated total energy: -28.98 eV per cell
*/
If you'd like to help edit this page with any information you'd like to add, feel free here (opens new window)
# Receipt Printer
- Print a simple message with "!print" followed by your message! Example: "!print this is a message."
- Use \i to invert the color of the text at any point in the message. Example: "!print this is not inverted \i this is inverted."
- A full list of compatible characters can be found by using the command "!printable." Use special characters to make fun ASCII art.
- Follow and/or subscribe, and your name gets printed out. We staple subscriber names in the shop!
- We have a few other hidden features you'll just have to figure out.
# Super Duper Prints
- Print a very large message using the Super Duper Print channel reward. Non-subs only get 15 characters, but subs are not limited.
- Raid the channel and your raid message will get printed out in Super Duper size.
- Messages that include bits will get printed out in Super Duper size. Each bit you include gives you 1 character to print, so be sure to include enough bits or your message might get cut off!
# Beeps!
- Each beep is unique to your username!
- Grab a ticket (channel reward) when joining the stream to hear your beep.
- There are other opportunities to beep, but you'll have to find that out yourself!
# User Commands
!advice - prints out advice
!bethany - Plays a song for bethany
!commands - linkS to this website
!discord - discord link (https://www.pikatea.com/discord)
!enter - enter the giveaway when we run a giveaway
!guide/guides - link to the guides page (https://www.pikatea.com/guides)
!hehe - overlayed video
!music/!playing/!song - shows current song info (to be made)
!neverforget - overlayed image
!niches - WHAT IS UP MY GUY
!null - plays the null pointer error overlay
!print [message] - prints out [message] on a receipt
!printable - returns receipt printable characters
!resetcamera - resets the facecam if it looses tracking (NOT WORKING)
!rules - view giveaway rules
!shop/!site/!website - https://www.pikatea.com
!side - switch the camera to the side view if the current scene is the top view
!so - shout out someone
!social/!socials - link to social media pages
!test - test command
!top - switch the camera to the top view if the current scene is the side view
!build - a keyboard
!funky - funky60! https://www.pikatea.com/products/funky60
!captea - who is that imposter?
!capptea - https://clips.twitch.tv/ShakingFairArmadilloTinyFace-MmKP9fbOdAhuvvUF
!kim - GlitchLit GlitchLit GlitchLit OMG!!!!!! CurseLit CurseLit CurseLit IT'S CELEBRITY STREAMER @KIMLYNNWIN! CurseLit CurseLit CurseLit twitch.tv/KIMLYNNWIN GlitchLit GlitchLit GlitchLit GlitchLit GlitchLit GlitchLit
!keyboard - my current keyboard
!bandaid - Knives are sharp, be careful chat
!chad - Chad is a nice guy, be more like Chad.
!kp69 - https://www.pikatea.com/products/pikatea-keyboard-kp69
# More Channel Point Reward Info
- Total Receipts Printed - doesn't do anything but the cost shows the amount of recipets we have printed
# Moderator Commands
- !command [!thecommand] [this is the response message] - creates/updates a command called [!command] that returns the response message [this is the response mssage] (example: !command !build we are building a keyboard)
- !fliphdmi
- !start
- !startgiveaway
- !sticker [username] - give discount codes needed to get a free sticker from https://www.pikatea.com/stickers
- !stopgiveaway
- !winner/!winners - the information winners need after a giveaway
- !volume [0-100] set the spotify volume to a percentage
# More Moderator Info
- Admin/Moderator Stream Deck (opens new window) - control the stream in more detail